• Job:
What is needed: search the contents further down for the word "cluster" and echo each line that has it.

• File:
'''
The following is a quantum chemistry calculation of C35H38N10O3SYb as an isolated structure, from the OMol25 dataset.

The geometry in XYZ format:
```
88
Properties=species:S:1:pos:R:3:mulliken_charge:R:1
Yb 0.3392 -0.1488 0.2750 0.26
C 0.8656 1.1842 4.9305 -2.02
C 0.9622 0.9176 3.4644 0.02
N 0.2932 0.0230 2.8189 1.61
N -0.5165 -0.8220 3.5301 -0.90
C -1.4889 -1.5509 2.9257 0.56
N -2.1022 -2.4584 3.6957 -0.42
S -1.9835 -1.3148 1.3466 -0.42
C 1.9095 1.7012 2.6725 0.77
C 2.5740 2.7958 3.0737 -0.67
C 3.6489 3.3518 2.2699 -1.23
C 3.8814 2.9211 1.0293 -1.96
C 2.9719 1.9389 0.3836 1.03
N 2.1368 1.1801 1.3676 0.55
H 0.6254 0.3022 5.5229 0.53
H 0.0884 1.9321 5.1043 0.27
H 1.8102 1.5651 5.3054 0.51
H -0.3314 -0.9486 4.5146 0.15
H -1.7236 -2.7526 4.5811 0.20
H -2.7642 -3.0713 3.2498 0.28
H 2.3462 3.2589 4.0209 0.60
H 4.2743 4.1101 2.7189 0.51
H 4.7106 3.2942 0.4432 0.56
H 2.3600 2.3845 -0.3996 -0.01
C 1.3901 4.4326 -1.0522 -2.05
C 0.6663 4.1931 0.2455 1.59
C 0.8219 5.1375 1.2527 -0.57
C 0.1022 5.0587 2.4334 -1.22
C -0.8388 4.0603 2.5790 -0.61
C -1.0231 3.0947 1.5947 1.19
C -2.2010 2.1744 1.7236 -1.79
C -0.2006 3.1013 0.4561 -0.88
N -0.1900 1.9809 -0.4368 0.85
C -0.7269 2.1563 -1.6667 -0.27
O -1.3087 3.1335 -2.1061 -0.68
C -0.5228 0.9413 -2.5599 0.64
C -0.7873 0.9514 -3.9201 -0.86
C -0.5212 -0.2003 -4.6489 -0.47
C -0.0216 -1.3279 -4.0095 -1.12
C 0.1770 -1.2729 -2.6383 1.02
N -0.0748 -0.1578 -1.9521 0.35
C 0.5767 -2.4965 -1.8232 -0.57
O 0.9240 -3.5038 -2.4181 -0.67
N 0.4426 -2.3170 -0.4837 0.64
C 0.1511 -3.4898 0.2775 -0.43
C 0.8711 -3.7984 1.4387 0.19
C 2.0574 -2.9891 1.8672 -1.23
C 0.4894 -4.8804 2.2250 -0.82
C -0.5972 -5.6623 1.8834 -0.97
C -1.3243 -5.3425 0.7498 -0.84
C -0.9805 -4.2645 -0.0554 1.91
C -1.8578 -3.9382 -1.2259 -1.49
H 2.4175 4.7579 -0.8760 0.41
H 0.8832 5.2270 -1.6016 0.47
H 1.3965 3.5629 -1.7063 0.36
H 1.5055 5.9625 1.0919 0.48
H 0.2306 5.8072 3.2041 0.48
H -1.4868 4.0501 3.4483 0.58
H -2.1614 1.5673 2.6303 0.26
H -2.3035 1.5127 0.8707 0.26
H -3.1129 2.7721 1.7735 0.52
H -1.1875 1.8492 -4.3682 0.58
H -0.7086 -0.2217 -5.7139 0.47
H 0.1947 -2.2486 -4.5315 0.61
H 2.9705 -3.3067 1.3541 0.47
H 2.2310 -3.0800 2.9393 0.49
H 1.9299 -1.9335 1.6322 0.28
H 1.0684 -5.1123 3.1108 0.47
H -0.8795 -6.5088 2.4943 0.43
H -2.1919 -5.9331 0.4832 0.44
H -2.8346 -4.4039 -1.1056 0.49
H -1.4200 -4.2923 -2.1597 0.34
H -2.0069 -2.8594 -1.3190 0.16
C 5.7222 -0.0390 -1.1288 -0.98
N 5.0072 0.3463 0.0706 0.28
C 5.3299 -0.3843 1.2918 -0.63
C 4.1002 -0.1976 2.1719 0.06
O 3.9859 -0.2579 3.3637 -0.57
N 3.0569 0.0338 1.2729 0.59
C 3.5914 0.5523 0.0108 -0.91
N 2.8003 -0.0143 -1.0600 0.03
H 6.7900 0.0868 -0.9580 0.40
H 5.4456 0.6128 -1.9562 0.29
H 5.5445 -1.0823 -1.4217 0.33
H 6.2088 0.0202 1.7959 0.39
H 5.4946 -1.4576 1.1187 0.33
H 2.8327 0.5401 -1.9082 0.36
H 3.0719 -0.9697 -1.2784 0.37
```

Calculated values
- Total charge: +1
- HOMO-LUMO gap (alpha / beta): 6.692 / 6.694 eV
- 2S+1: 2
- ⟨S²⟩: 0.7509

=====

The following is a quantum chemistry calculation of a 7-piece molecular cluster, C19H21F5N2O15 overall in a non-equilibrium geometry, from the OMol25 dataset.

The geometry in XYZ format:
```
62
Properties=species:S:1:pos:R:3:mulliken_charge:R:1
O 17.1909 -6.3523 -19.8516 -0.52
C 17.1681 -7.5131 -20.2917 0.45
O 17.2581 -8.6199 -19.5188 0.10
C 17.0148 -9.7424 -20.3611 -0.55
C 16.7423 -9.1973 -21.7126 0.19
F 15.4504 -9.4692 -21.9701 -0.31
O 17.0332 -7.7932 -21.5536 -0.37
H 17.8428 -10.4491 -20.4170 0.32
H 16.2756 -10.4737 -20.0340 0.42
H 17.3057 -9.5875 -22.5602 0.34
O 20.2872 -6.7551 -12.7190 -0.60
C 19.4200 -6.0660 -13.2570 0.54
O 19.2517 -5.9761 -14.5664 -0.30
C 18.1185 -5.2184 -14.7674 -0.24
C 17.6752 -4.5880 -13.4377 0.40
F 16.4055 -4.8474 -13.3689 -0.29
O 18.4559 -5.3720 -12.5556 -0.33
H 18.0789 -4.5124 -15.5969 0.00
H 17.3653 -5.9374 -15.0894 0.38
H 17.7585 -3.5015 -13.4606 0.35
O 18.6486 -4.2409 -20.9106 -0.59
C 18.5206 -3.9230 -19.7347 0.77
O 17.6382 -3.0484 -19.2847 -0.39
C 17.8448 -2.9827 -17.8510 0.07
C 19.1895 -3.5546 -17.6241 -0.08
'''

• Response:
The following is a quantum chemistry calculation of a 7-piece molecular cluster, C19H21F5N2O15 overall in a non-equilibrium geometry, from the OMol25 dataset.